Сочинение про совесть на английском

_Attached: data records_
- - -
Entry 1:
# C36H69Cl38N2O

20 unconnected molecules or ions with the total composition C36H69Cl38N2O (ωB97M-V with the def2-TZVPD basis set, the OMol25 dataset).

Positions of all 146 atoms, in Å:
Cl: -1.019 3.251 0.061
Cl: 2.000 -7.241 -4.615
Cl: 7.441 3.441 -3.225
Cl: -10.850 4.088 0.073
Cl: -6.050 -5.690 -1.621
Cl: 5.433 5.187 -2.032
Cl: 1.034 -0.508 -5.587
Cl: 0.293 -0.309 4.972
Cl: 0.235 -3.918 6.819
Cl: -8.106 0.640 1.265
Cl: 1.639 1.734 -7.353
Cl: -5.507 -0.578 0.742
Cl: -3.159 5.418 -14.328
Cl: -2.357 3.950 4.318
Cl: -1.017 9.760 -7.939
Cl: -0.260 0.444 8.587
Cl: 4.074 -8.087 -2.746
Cl: -2.540 -0.557 5.630
Cl: -9.846 7.059 7.237
Cl: -9.576 4.524 2.661
Cl: 3.998 0.831 -2.812
Cl: 1.789 2.739 -2.887
Cl: -2.283 9.345 -10.534
Cl: 6.088 2.219 5.351
Cl: -11.873 7.929 5.329
Cl: 0.624 5.492 -8.808
Cl: 0.104 -3.111 9.616
Cl: 0.787 2.722 2.288
Cl: 0.944 1.854 -11.870
Cl: 2.413 4.935 -6.563
Cl: 3.704 3.577 9.600
Cl: -1.160 3.671 -15.538
Cl: 8.564 0.833 4.682
Cl: -2.767 1.796 9.216
Cl: -4.263 1.757 4.100
Cl: -1.050 3.601 -10.655
Cl: -3.562 -7.098 -2.199
Cl: 5.938 1.703 9.575
O: 0.535 -1.032 -0.137
N: 5.262 -2.616 4.465
N: 3.877 -2.958 0.710
C: 2.266 5.661 -8.170
C: 4.152 -3.065 5.229
C: -5.241 -7.260 -1.668
C: -1.685 -5.164 0.083
C: -1.120 -0.665 1.664
C: 4.255 -4.232 -0.013
C: -1.859 -4.599 1.599
C: 1.199 -0.408 -1.274
C: 0.625 3.443 0.683
C: 2.873 -3.565 4.529
C: -0.169 -5.661 -0.093
C: 0.761 1.209 -5.912
C: 5.334 3.262 9.000
C: -1.816 8.596 -9.003
C: -1.930 0.242 9.134
C: 6.901 0.653 5.253
C: 0.882 -4.180 8.446
C: 2.628 -3.599 2.988
C: 7.095 4.594 -1.931
C: -1.503 4.807 -14.227
C: -2.036 -1.990 1.761
C: -10.361 7.041 5.546
C: -10.359 3.346 1.600
C: 5.080 -2.622 3.063
C: 2.184 -5.386 -1.137
C: -1.028 -3.244 1.858
C: 3.349 -4.301 -1.370
C: 0.689 -4.750 -1.131
C: 3.432 2.385 -3.439
C: 3.886 -3.061 2.202
C: -0.756 -0.388 0.127
C: -1.193 0.558 5.377
C: 3.524 -8.115 -4.426
C: -3.887 3.415 3.613
C: -6.637 -0.029 1.986
C: 0.605 2.988 -10.558
H: -1.131 7.773 -9.205
H: 4.033 -4.580 -2.260
H: 2.935 -2.610 0.432
H: 3.441 2.350 -4.528
H: 2.509 6.721 -8.100
H: -2.455 -0.406 8.435
H: -1.442 1.232 4.557
H: 0.736 2.478 -9.607
H: 1.952 -3.978 8.437
H: 1.322 2.953 0.004
H: 0.704 -5.214 8.737
H: 2.292 -5.928 -0.122
H: 2.899 -3.277 -1.642
H: 5.980 -2.222 2.458
H: -1.992 -4.318 -0.623
H: -2.709 -1.911 2.680
H: -1.032 1.131 6.287
H: -9.587 7.506 4.936
H: -1.550 -5.451 2.304
H: -9.659 2.538 1.393
H: -10.508 6.009 5.232
H: -2.692 -2.168 0.839
H: 0.372 -5.569 0.925
H: 2.002 -3.912 5.202
H: -0.184 -0.843 2.308
H: -1.675 0.224 2.147
H: 4.281 -7.646 -5.054
H: 1.668 -3.945 2.489
H: -0.559 -3.307 2.914
H: 7.778 5.438 -2.017
H: 4.186 -5.176 0.617
H: -0.664 0.737 -0.126
H: -3.811 3.455 2.527
H: -2.373 -6.091 -0.057
H: -1.581 -0.823 -0.553
H: 2.961 5.167 -8.847
H: -0.192 -3.175 1.081
H: 1.296 3.825 -10.627
H: 2.249 -6.193 -1.948
H: 6.000 4.050 9.347
H: 4.599 -2.249 0.450
H: 1.107 1.789 -5.058
H: 0.856 4.506 0.746
H: -4.684 4.075 3.952
H: 0.434 0.069 -1.982
H: -1.925 -0.210 10.125
- - -
_Back to the article_

Вариант 1 (200 слов)

Conscience is an inner voice that guides us to distinguish between right and wrong. It is a moral compass that helps us make decisions that align with our values and beliefs. A strong conscience is essential for leading a fulfilling life and being a responsible member of society. However, sometimes we may ignore our conscience and act against our better judgment, which can lead to feelings of guilt and regret. It is important to listen to our conscience and act accordingly, even if it means making difficult choices. By doing so, we can maintain our integrity and live a life that is true to ourselves.

Вариант 2(400 слов)

Conscience is a complex and multifaceted concept that has intrigued philosophers, theologians, and psychologists for centuries. At its core, conscience is an inner voice that speaks to us about what is right and wrong. It is a moral compass that guides us in our decision-making and helps us navigate the complexities of life. However, the nature of conscience is not always clear-cut, and there are many different theories about its origin, function, and development.

One of the most influential theories of conscience is the Freudian view, which posits that conscience is the result of internalizing societal norms and values during childhood. According to Freud, the superego, which is the part of the psyche that represents the internalized moral code, is formed through the process of identification with authority figures such as parents and teachers. The superego is responsible for enforcing moral standards and punishing transgressions, and it is the source of feelings of guilt and shame when we violate these standards.

[Here the text breaks off for records of molecules]
********
C4H10N2O in the gas phase. Source: the OMol25 dataset; level of theory: ωB97M-V/def2-TZVPD.

Positions of all 17 atoms, in Å:
C: 0.73619 -0.68204 1.25689
N: 0.59974 -0.00355 -0.11034
C: 1.93037 0.46869 -0.76910
C: -0.53969 -0.55766 -0.90331
C: -1.88348 0.16411 -0.49036
N: -1.67676 1.02814 0.58103
O: -2.96229 0.11348 -1.12409
H: -0.26028 -1.09641 1.52278
H: 1.01121 0.11544 1.97279
H: 1.51187 -1.46215 1.28113
H: 2.19988 -0.29229 -1.49415
H: 1.65760 1.44800 -1.14655
H: 2.62244 0.64883 -0.01178
H: -0.39919 -0.43846 -2.04240
H: -0.61883 -1.64790 -0.73763
H: -2.69355 1.37291 0.72491
H: -1.23524 0.82084 1.49019

Forces on atoms 1 to 2 (eV/Å):
-0.2007 1.2144 -1.7083
0.6262 -0.8899 0.8908

Values from the calculation:
E_LUMO = 0.7547 eV
Energy relative to the best compared isomer or geometry (same formula, charge and spin) = 56.4 kcal per mole
DFT total energy = -343.11162 hartree
HOMO energy = -0.303 hartree


C34H44Br4CaCsF5ILiN2NbO10PS as an isolated structure. Source: the OMol25 dataset; level of theory: ωB97M-V/def2-TZVPD.

Positions of all 106 atoms, in Å:
C: 3.29790 3.74266 2.53770
C: 2.38947 3.06607 2.09127
Nb: 0.92346 1.53259 1.19415
C: 0.92465 0.43418 3.23641
C: -0.38047 -0.05170 3.70070
O: -1.16698 0.49348 4.47394
O: -0.72020 -1.30736 3.24044
C: -2.01825 -1.69611 3.61170
C: -3.14659 -1.26443 2.70321
O: -2.15786 -2.37286 4.58579
C: -0.55371 0.05552 0.44882
C: -0.81305 0.01514 -1.05627
C: -1.24712 -1.41875 -1.44687
F: -1.87570 0.83555 -1.41353
N: 0.98748 2.61606 -0.53189
C: 0.45297 3.96765 -0.58235
C: -1.01385 3.98469 -1.07921
C: 2.74757 0.37163 0.48625
C: 2.41540 -0.81285 -0.44143
C: 3.79203 0.05805 1.58556
C: 3.90384 -1.41824 2.04229
P: -0.90747 3.02321 2.30844
O: -2.32244 2.04581 2.43893
I: -0.09996 3.65387 4.58526
H: 4.21692 4.08100 2.94296
H: 1.58202 -0.44239 3.21282
H: 1.37219 1.10053 3.97381
H: -4.01767 -1.86458 2.92133
H: -2.82153 -1.33603 1.67553
H: -3.35147 -0.21734 2.94447
H: -1.53722 0.20167 0.90963
H: -0.25751 -0.93777 0.79355
H: 0.04569 0.21729 -1.69629
H: -2.30184 -1.58657 -1.28112
H: -1.01097 -1.53401 -2.50359
H: -0.61354 -2.15300 -0.94501
H: 0.88485 2.10250 -1.40124
H: 0.60664 4.56512 0.31364
H: 1.00188 4.50627 -1.36521
H: -1.47428 4.96759 -1.00871
H: -1.63251 3.29352 -0.49997
H: -1.02189 3.60249 -2.09901
H: 3.22858 1.10734 -0.16352
H: 2.19787 -0.48322 -1.45591
H: 1.68476 -1.52218 -0.06085
H: 3.34482 -1.39121 -0.54772
H: 3.68525 0.67628 2.47954
H: 4.77494 0.33364 1.18209
H: 3.80121 -1.44243 3.13299
H: 3.13313 -2.08527 1.66450
H: 4.90222 -1.81301 1.86393
H: -2.88127 2.36272 1.71865
Ca: 5.91209 2.93660 3.13314
C: -6.04589 -1.74226 -1.31623
Br: -7.01779 -0.85329 -2.71072
Br: -4.99195 -3.20231 -2.00251
Br: -4.99883 -0.48956 -0.28620
H: -6.77259 -2.16847 -0.64164
C: -3.94343 0.42480 -5.12285
F: -4.37561 0.49558 -3.84851
F: -5.00631 0.69233 -5.89873
F: -3.08215 1.44367 -5.29257
S: -3.18261 -1.20898 -5.51629
O: -4.26292 -2.13666 -5.26442
O: -2.07856 -1.28743 -4.58019
O: -2.79986 -1.06733 -6.89929
Li: -2.68425 2.01835 4.62841
********

Another theory of conscience is the evolutionary view, which suggests that conscience is an adaptation that has evolved to promote cooperation and social cohesion. According to this view, conscience is a product of natural selection, and it serves to regulate behavior in ways that benefit the individual and the group. For example, by feeling guilty when we harm others, we are motivated to avoid such behavior in the future, which promotes social harmony and cooperation.

<<<
# C3CoO2

C3CoO2 as an isolated structure in a non-equilibrium geometry (wB97M-V/def2-TZVPD, the Open Molecules 2025 dataset).

HOMO energy (alpha / beta) in hartree: -0.1132 / -0.1104
Molar mass in Da: 127.0
Frontier orbital gap (alpha / beta) in eV: 5.9 / 4.2
Energy above the lowest of the compared OMol25 structures with the same formula, charge and spin in kcal per mole: 0.0
Multiplicity: 5
LUMO level (alpha / beta) in eV: 2.85 / 1.16
Charge: -1

Geometry as XYZ:
```
6
Properties=species:S:1:pos:R:3:forces:R:3
O -0.057 0.924 0.674 -1.25 0.50 -1.64
C 1.183 0.069 1.729 0.09 0.01 0.05
C 1.316 -0.968 0.921 0.02 -0.32 -0.14
O 0.492 -0.927 -0.260 -0.34 -0.17 -1.00
C -0.243 0.188 -0.340 0.89 0.01 2.23
Co -1.712 0.377 -1.751 0.59 -0.03 0.50
```
Positions in Å, forces in eV/Å.

* * * * *

This record from the Open Molecules 2025 dataset describes an isolated molecule of C5H8O. The level of theory is ωB97M-V/def2-TZVPD.

Geometry (Å):
C1 1.634 0.204 -0.249
C2 0.308 0.253 0.494
C3 -0.487 -1.084 0.509
C4 -1.573 -0.397 -0.319
O1 -2.600 -0.772 -0.816
C5 -0.849 0.949 -0.280
H1 1.499 -0.201 -1.261
H2 2.068 1.206 -0.346
H3 2.358 -0.432 0.273
H4 0.454 0.665 1.498
H5 -0.845 -1.413 1.491
H6 -0.006 -1.935 0.012
H7 -1.402 1.714 0.276
H8 -0.591 1.353 -1.267

Calculated values
energy above the lowest of the compared OMol25 structures with the same formula, charge and spin	18.3	kcal/mol
charge	0
SMILES	CC1CC(=O)C1
multiplicity	1
orbital gap	10.5	eV

* * * * *

A 2-piece molecular cluster, C3H10NO2 overall at a distorted geometry, computed with the ωB97M-V functional and the def2-TZVPD basis.

Results
Calculated total energy: -8857.6235 eV
Net charge: -1
HOMO-LUMO gap: 0.2593 hartree
HOMO level: -2.98 eV
Relative energy (zero: lowest compared OMol25 entry of this formula, charge and spin): 1.170 eV
Lowest unoccupied orbital energy: 4.080 eV

The geometry in XYZ format:
```
16
Properties=species:S:1:pos:R:3:forces:R:3:mulliken_charge:R:1
C -1.045040 -0.444244 0.722833 -1.305 -1.455 0.918 -1.11
N -0.164570 -0.048168 -0.353394 -0.226 -0.285 1.138 -0.36
C 1.231747 -0.334168 0.046158 0.049 1.662 -0.516 -0.83
C 1.765632 0.954445 0.904745 -0.273 -0.282 -1.090 -0.22
O 0.918498 1.989509 0.739960 0.013 0.010 0.329 -0.91
H -2.108798 -0.199036 0.591458 0.249 0.682 -0.347 0.39
H -0.809652 -0.173659 1.761261 0.453 0.572 -0.241 0.37
H -1.142556 -1.545559 0.795255 0.491 -0.010 -0.251 0.38
H -0.096555 1.001552 -0.243625 -0.084 -0.091 -0.087 0.22
H 1.718209 -0.272646 -0.929454 0.683 -0.548 0.244 0.30
H 1.415457 -1.261620 0.586663 -0.282 -0.273 -0.279 0.32
H 2.755238 1.159284 0.442674 0.331 -0.095 0.211 0.22
H 1.984833 0.634819 1.949955 -0.255 0.010 0.104 0.19
H -2.636229 -1.880399 -1.129359 -0.106 -0.063 0.130 0.28
H -1.408416 -1.081574 -1.533337 0.144 0.176 -0.107 0.50
O -2.169910 -1.577909 -1.908212 0.120 -0.010 -0.156 -0.75
```
Forces are in eV/Å.
>>>
• So much for the calculated molecules:

Regardless of its origin, conscience is a crucial aspect of human psychology and morality. A strong conscience enables us to make ethical decisions and act in accordance with our values and beliefs. It also helps us to resist peer pressure and conformism, and to stand up for what we believe is right, even in the face of opposition. However, a weak or underdeveloped conscience can lead to moral confusion, apathy, and even psychopathy.

In conclusion, conscience is a complex and multifaceted concept that plays a vital role in our moral and psychological development. Whether we view it as a product of socialization, evolution, or some combination of the two, it is clear that conscience is an essential aspect of our humanity. By cultivating a strong and healthy conscience, we can lead fulfilling lives and contribute to a more just and compassionate society.